== Activity ==
Your job: print the whole of the data below without additions.

== Material ==
~~~
# 1
This record from the OMol25 dataset describes C30H26BrN6O4RuS as an isolated structure. The level of theory is ωB97M-V/def2-TZVPD.

Computed properties:
* <S²>: 0.755
* largest force on an atom: 0.078 eV Å⁻¹
* multiplicity: 2
* HOMO level (spin up / spin down): -0.2945 / -0.2949 hartree
* HOMO-LUMO gap (spin up / spin down): 0.26880 / 0.26231 Eh
* charge: 0
* ΔE to the lowest compared entry with this formula, charge and spin: 0.00 kcal per mole

Last column: Mulliken charge in e.
CARTESIAN COORDINATES (ANGSTROEM)
Ru 0.568 -0.868 -0.100  1.05
O 0.429 -3.653 2.937  -0.71
C -0.439 -3.112 3.824  0.41
C -0.684 -3.801 5.008  -0.55
C -1.573 -3.293 5.938  -0.34
C -2.227 -2.089 5.708  -0.78
C -1.983 -1.407 4.528  -0.46
C -1.103 -1.905 3.575  0.01
C -0.902 -1.182 2.265  0.63
O 0.419 -1.264 1.825  -0.87
N -1.853 -1.753 1.295  -0.30
N -1.445 -1.506 -0.051  0.46
C -2.381 -1.728 -0.888  -0.78
C -2.247 -1.726 -2.349  -0.03
Br -0.967 -2.919 -3.062  -0.06
C -3.047 -1.050 -3.173  -0.62
C -4.122 -0.129 -2.786  0.54
C -4.119 0.602 -1.597  0.36
C -5.180 1.434 -1.272  -0.81
C -6.256 1.560 -2.137  -0.44
C -6.259 0.860 -3.337  -0.58
C -5.200 0.031 -3.660  -0.59
H 0.693 -2.940 2.314  0.32
H -0.157 -4.731 5.179  0.44
H -1.752 -3.839 6.856  0.37
H -2.916 -1.688 6.439  0.40
H -2.486 -0.467 4.328  0.39
H -1.179 -0.127 2.398  0.18
H -1.868 -2.764 1.414  0.39
H -3.366 -1.961 -0.483  0.52
H -2.911 -1.200 -4.238  0.42
H -3.265 0.543 -0.937  0.09
H -5.160 1.994 -0.346  0.41
H -7.082 2.212 -1.886  0.39
H -7.089 0.965 -4.023  0.37
H -5.203 -0.509 -4.599  0.39
N 4.185 -3.180 -0.530  -0.39
C 3.182 -2.301 -0.368  0.58
S 1.559 -2.905 -0.577  -0.40
N 3.531 -1.068 -0.065  -1.70
N 2.465 -0.257 0.099  1.46
C 2.659 0.988 0.380  0.16
C 4.008 1.588 0.522  -1.29
C 4.577 2.274 -0.545  0.17
C 5.831 2.852 -0.407  -0.79
C 6.516 2.748 0.796  -0.36
C 5.949 2.061 1.861  -0.79
C 4.697 1.482 1.726  0.02
C 1.449 1.800 0.563  1.54
C 1.504 3.153 0.879  -0.91
C 0.325 3.855 1.050  -0.82
C -0.888 3.198 0.907  -1.09
C -0.869 1.854 0.591  -0.11
N 0.262 1.172 0.423  0.65
H 3.991 -4.123 -0.807  0.21
H 5.133 -2.853 -0.473  0.22
H 4.041 2.341 -1.483  0.48
H 6.275 3.380 -1.240  0.41
H 7.494 3.199 0.902  0.40
H 6.484 1.974 2.797  0.40
H 4.252 0.935 2.548  0.50
H 2.467 3.633 0.985  0.51
H 0.353 4.909 1.293  0.43
H -1.830 3.711 1.033  0.48
H -1.785 1.291 0.466  0.26
O -0.170 0.767 -3.803  -0.64
C -0.165 0.490 -2.624  0.24
O 0.755 -0.187 -2.007  -0.70
H -0.999 0.842 -1.976  0.26

Force components x, y, z for each atom (eV/Å):
0.0 -0.1 0.0
0.0 0.0 0.0
0.0 0.0 0.0
0.0 0.0 0.0
0.0 0.0 0.0
0.0 0.0 0.0
0.0 0.0 0.0
0.0 0.0 0.0
0.0 0.0 0.0
0.0 0.0 0.0
0.0 -0.1 0.0
0.0 0.0 0.1
0.0 0.0 0.0
0.0 0.0 0.0
0.0 0.0 0.0
0.0 0.0 0.0
0.0 0.0 0.0
0.0 0.0 0.0
0.0 0.0 0.0
0.0 0.0 0.0
0.0 0.0 0.0
0.0 0.0 0.0
0.0 0.0 0.0
0.0 0.0 0.0
0.0 0.0 0.0
0.0 0.0 0.0
0.0 0.0 0.0
0.0 0.0 0.0
0.0 0.0 0.0
0.0 0.0 0.0
0.0 0.0 0.0
0.0 0.0 0.0
0.0 0.0 0.0
0.0 0.0 0.0
0.0 0.0 0.0
0.0 0.0 0.0
0.0 0.0 0.0
0.0 0.0 0.0
0.0 0.0 0.0
0.0 0.0 0.0
-0.1 0.0 0.0
0.0 0.0 0.0
0.0 0.0 0.0
0.0 0.0 0.0
0.0 0.0 0.0
0.0 0.0 0.0
0.0 0.0 0.0
0.0 0.0 0.0
0.0 0.0 0.0
0.0 0.0 0.0
0.0 0.0 0.0
0.0 0.0 0.0
0.0 0.0 0.0
0.0 0.0 0.0
0.0 0.0 0.0
0.0 0.0 0.0
0.0 0.0 0.0
0.0 0.0 0.0
0.0 0.0 0.0
0.0 0.0 0.0
0.0 0.0 0.0
0.0 0.0 0.0
0.0 0.0 0.0
0.0 0.0 0.0
0.0 0.0 0.0
0.0 0.0 0.0
0.0 0.0 -0.1
0.0 0.0 0.1
0.0 0.0 0.0

---

# 2
This record from the OMol25 dataset describes C30H26CoF5N3O3S4 as an isolated structure at a distorted geometry. The level of theory is ωB97M-V/def2-TZVPD.

Computed properties:
* <S²>: 3.760
* largest force on an atom: 3.874 eV Å⁻¹
* multiplicity: 4
* HOMO level (spin up / spin down): -0.2856 / -0.2930 hartree
* HOMO-LUMO gap (spin up / spin down): 0.24457 / 0.25096 Eh
* charge: 0

Last column: Mulliken charge in e.
CARTESIAN COORDINATES (ANGSTROEM)
Co 1.004 0.985 -0.590  0.96
C 5.715 3.434 -1.188  -0.87
S 4.496 4.334 -0.262  -0.01
C 3.166 3.175 -0.234  0.23
S 3.360 1.483 -0.637  -0.51
N 2.137 3.763 0.329  -1.43
N 1.153 2.777 0.537  1.37
~~~

== Completed ==
# 1
This record from the OMol25 dataset describes C30H26BrN6O4RuS as an isolated structure. The level of theory is ωB97M-V/def2-TZVPD.

Computed properties:
* <S²>: 0.755
* largest force on an atom: 0.078 eV Å⁻¹
* multiplicity: 2
* HOMO level (spin up / spin down): -0.2945 / -0.2949 hartree
* HOMO-LUMO gap (spin up / spin down): 0.26880 / 0.26231 Eh
* charge: 0
* ΔE to the lowest compared entry with this formula, charge and spin: 0.00 kcal per mole

Last column: Mulliken charge in e.
CARTESIAN COORDINATES (ANGSTROEM)
Ru 0.568 -0.868 -0.100  1.05
O 0.429 -3.653 2.937  -0.71
C -0.439 -3.112 3.824  0.41
C -0.684 -3.801 5.008  -0.55
C -1.573 -3.293 5.938  -0.34
C -2.227 -2.089 5.708  -0.78
C -1.983 -1.407 4.528  -0.46
C -1.103 -1.905 3.575  0.01
C -0.902 -1.182 2.265  0.63
O 0.419 -1.264 1.825  -0.87
N -1.853 -1.753 1.295  -0.30
N -1.445 -1.506 -0.051  0.46
C -2.381 -1.728 -0.888  -0.78
C -2.247 -1.726 -2.349  -0.03
Br -0.967 -2.919 -3.062  -0.06
C -3.047 -1.050 -3.173  -0.62
C -4.122 -0.129 -2.786  0.54
C -4.119 0.602 -1.597  0.36
C -5.180 1.434 -1.272  -0.81
C -6.256 1.560 -2.137  -0.44
C -6.259 0.860 -3.337  -0.58
C -5.200 0.031 -3.660  -0.59
H 0.693 -2.940 2.314  0.32
H -0.157 -4.731 5.179  0.44
H -1.752 -3.839 6.856  0.37
H -2.916 -1.688 6.439  0.40
H -2.486 -0.467 4.328  0.39
H -1.179 -0.127 2.398  0.18
H -1.868 -2.764 1.414  0.39
H -3.366 -1.961 -0.483  0.52
H -2.911 -1.200 -4.238  0.42
H -3.265 0.543 -0.937  0.09
H -5.160 1.994 -0.346  0.41
H -7.082 2.212 -1.886  0.39
H -7.089 0.965 -4.023  0.37
H -5.203 -0.509 -4.599  0.39
N 4.185 -3.180 -0.530  -0.39
C 3.182 -2.301 -0.368  0.58
S 1.559 -2.905 -0.577  -0.40
N 3.531 -1.068 -0.065  -1.70
N 2.465 -0.257 0.099  1.46
C 2.659 0.988 0.380  0.16
C 4.008 1.588 0.522  -1.29
C 4.577 2.274 -0.545  0.17
C 5.831 2.852 -0.407  -0.79
C 6.516 2.748 0.796  -0.36
C 5.949 2.061 1.861  -0.79
C 4.697 1.482 1.726  0.02
C 1.449 1.800 0.563  1.54
C 1.504 3.153 0.879  -0.91
C 0.325 3.855 1.050  -0.82
C -0.888 3.198 0.907  -1.09
C -0.869 1.854 0.591  -0.11
N 0.262 1.172 0.423  0.65
H 3.991 -4.123 -0.807  0.21
H 5.133 -2.853 -0.473  0.22
H 4.041 2.341 -1.483  0.48
H 6.275 3.380 -1.240  0.41
H 7.494 3.199 0.902  0.40
H 6.484 1.974 2.797  0.40
H 4.252 0.935 2.548  0.50
H 2.467 3.633 0.985  0.51
H 0.353 4.909 1.293  0.43
H -1.830 3.711 1.033  0.48
H -1.785 1.291 0.466  0.26
O -0.170 0.767 -3.803  -0.64
C -0.165 0.490 -2.624  0.24
O 0.755 -0.187 -2.007  -0.70
H -0.999 0.842 -1.976  0.26

Force components x, y, z for each atom (eV/Å):
0.0 -0.1 0.0
0.0 0.0 0.0
0.0 0.0 0.0
0.0 0.0 0.0
0.0 0.0 0.0
0.0 0.0 0.0
0.0 0.0 0.0
0.0 0.0 0.0
0.0 0.0 0.0
0.0 0.0 0.0
0.0 -0.1 0.0
0.0 0.0 0.1
0.0 0.0 0.0
0.0 0.0 0.0
0.0 0.0 0.0
0.0 0.0 0.0
0.0 0.0 0.0
0.0 0.0 0.0
0.0 0.0 0.0
0.0 0.0 0.0
0.0 0.0 0.0
0.0 0.0 0.0
0.0 0.0 0.0
0.0 0.0 0.0
0.0 0.0 0.0
0.0 0.0 0.0
0.0 0.0 0.0
0.0 0.0 0.0
0.0 0.0 0.0
0.0 0.0 0.0
0.0 0.0 0.0
0.0 0.0 0.0
0.0 0.0 0.0
0.0 0.0 0.0
0.0 0.0 0.0
0.0 0.0 0.0
0.0 0.0 0.0
0.0 0.0 0.0
0.0 0.0 0.0
0.0 0.0 0.0
-0.1 0.0 0.0
0.0 0.0 0.0
0.0 0.0 0.0
0.0 0.0 0.0
0.0 0.0 0.0
0.0 0.0 0.0
0.0 0.0 0.0
0.0 0.0 0.0
0.0 0.0 0.0
0.0 0.0 0.0
0.0 0.0 0.0
0.0 0.0 0.0
0.0 0.0 0.0
0.0 0.0 0.0
0.0 0.0 0.0
0.0 0.0 0.0
0.0 0.0 0.0
0.0 0.0 0.0
0.0 0.0 0.0
0.0 0.0 0.0
0.0 0.0 0.0
0.0 0.0 0.0
0.0 0.0 0.0
0.0 0.0 0.0
0.0 0.0 0.0
0.0 0.0 0.0
0.0 0.0 -0.1
0.0 0.0 0.1
0.0 0.0 0.0

---

# 2
This record from the OMol25 dataset describes C30H26CoF5N3O3S4 as an isolated structure at a distorted geometry. The level of theory is ωB97M-V/def2-TZVPD.

Computed properties:
* <S²>: 3.760
* largest force on an atom: 3.874 eV Å⁻¹
* multiplicity: 4
* HOMO level (spin up / spin down): -0.2856 / -0.2930 hartree
* HOMO-LUMO gap (spin up / spin down): 0.24457 / 0.25096 Eh
* charge: 0

Last column: Mulliken charge in e.
CARTESIAN COORDINATES (ANGSTROEM)
Co 1.004 0.985 -0.590  0.96
C 5.715 3.434 -1.188  -0.87
S 4.496 4.334 -0.262  -0.01
C 3.166 3.175 -0.234  0.23
S 3.360 1.483 -0.637  -0.51
N 2.137 3.763 0.329  -1.43
N 1.153 2.777 0.537  1.37